### What to do
Now quote the whole of the lines underneath unchanged.
### Contents
1.
Here is C3H4O2 in the gas phase at a distorted geometry from the OMol25 dataset. Energies are from ωB97M-V with the def2-TZVPD basis set.

Values from the calculation:
* frontier orbital gap (alpha / beta): 8.366 / 7.521 eV
* HOMO (alpha / beta): -8.602 / -8.336 eV

Cartesian coordinates (Å):
O -2.20 1.08 -0.89
C -1.12 0.57 -0.65
C -0.40 0.69 0.58
C 1.23 -0.96 0.18
O 0.76 0.07 0.77
H -0.57 0.01 -1.45
H -0.60 1.45 1.32
H 0.62 -1.53 -0.52
H 2.24 -1.23 0.46



2.
Here is C28H25CrN6SSi as an isolated structure at a distorted geometry from the OMol25 dataset. Energies are from ωB97M-V with the def2-TZVPD basis set.

Values from the calculation:
* frontier orbital gap (alpha / beta): 4.482 / 4.511 eV
* HOMO (alpha / beta): -8.740 / -8.733 eV
* spin multiplicity: 5
* charge: +1

Cartesian coordinates (Å):
Cr 0.10 -2.85 0.54
N 1.70 1.45 0.03
C 2.86 0.53 0.41
C 2.44 -0.80 0.99
N 1.41 -1.41 0.56
C 0.46 1.22 0.83
C -0.88 1.60 0.27
N -1.04 -1.32 0.55
C -2.41 -1.14 0.75
C -3.20 -0.07 0.96
N -1.82 2.12 1.09
H 2.03 2.42 -0.08
H 3.62 1.03 0.99
H 3.12 -1.26 1.70
H -2.96 -2.09 0.79
H -4.24 -0.36 1.10
H -1.49 2.51 1.96
C 3.73 2.07 -2.68
C 2.34 2.11 -3.15
C 1.35 1.46 -2.51
C 1.65 0.65 -1.31
C 3.13 0.27 -1.10
C 4.11 1.21 -1.73
Si 0.14 -0.36 -0.33
C -1.11 0.94 -0.91
C -2.17 0.91 -1.88
C -3.40 1.45 -1.98
C -4.23 2.16 -1.01
C -4.17 2.15 0.32
C -3.13 1.45 1.17
C 0.71 1.35 2.29
C 0.04 0.51 3.19
C 0.22 0.65 4.56
C 1.07 1.63 5.06
C 1.74 2.47 4.18
C 1.56 2.33 2.81
H 4.44 2.73 -3.14
H 2.12 2.70 -4.03
H 0.33 1.53 -2.85
H 3.40 -0.77 -1.32
H 5.14 1.15 -1.41
H -1.90 0.33 -2.77
H -3.88 1.31 -2.93
H -5.05 2.71 -1.45
H -4.92 2.71 0.87
H -3.45 1.58 2.21
H -0.62 -0.25 2.80
H -0.31 0.00 5.23
H 1.19 1.75 6.12
H 2.41 3.23 4.56
H 2.08 3.01 2.14
S -1.40 -4.72 0.89
C -0.77 -4.62 -0.67
N -1.54 -4.87 -1.77
C -1.03 -4.85 -3.03
C 0.28 -4.53 -3.21
C 1.04 -4.22 -2.07
N 0.54 -4.26 -0.84
H -2.51 -5.11 -1.61
H -1.71 -5.10 -3.83
H 0.72 -4.51 -4.19
H 2.08 -3.93 -2.15



3.
Here is a 12-piece molecular cluster, C15H54O12 overall at a distorted geometry from the OMol25 dataset. Energies are from ωB97M-V with the def2-TZVPD basis set.

Values from the calculation:
* frontier orbital gap: 9.041 eV
* HOMO: -9.484 eV
* SMILES string: CC(C)O.CC(C)O.CC(C)O.CC(C)O.CC(C)O.O.O.O.O.O.O.O

Cartesian coordinates (Å):
C 13.45 13.21 5.48
C 13.02 11.73 5.78
C 13.61 11.07 6.99
O 11.67 11.82 5.90
H 14.38 13.24 4.91
H 13.55 13.80 6.39
H 12.72 13.71 4.85
H 13.23 11.20 4.85
H 13.21 11.46 7.93
H 14.69 11.06 7.10
H 13.43 10.00 7.06
H 11.45 12.25 6.73
C 6.98 12.64 7.08
C 7.07 13.85 6.15
C 5.77 14.20 5.45
O 7.48 14.97 6.94
H 7.85 12.71 7.72
H 7.14 11.72 6.53
H 6.07 12.61 7.69
H 7.81 13.62 5.39
H 5.47 13.38 4.80
H 5.95 15.05 4.79
H 4.90 14.36 6.08
H 7.07 14.93 7.80
C 10.66 8.49 6.96
C 11.14 7.48 8.05
C 11.13 8.08 9.44
O 10.27 6.40 8.01
H 10.89 8.10 5.97
H 11.20 9.44 6.99
H 9.60 8.67 7.12
H 12.10 7.05 7.77
H 11.44 7.48 10.30
H 10.10 8.34 9.70
H 11.70 9.00 9.51
H 10.24 5.97 8.87
C 10.15 12.06 8.77
C 10.13 13.57 9.17
C 10.42 13.68 10.75
O 10.98 14.36 8.39
H 9.32 11.59 9.32
H 11.13 11.61 8.96
H 9.96 11.80 7.73
H 9.18 14.06 8.97
H 10.27 14.73 11.02
H 11.42 13.30 10.96
H 9.69 13.07 11.28
H 11.12 15.21 8.81
C 10.58 8.40 13.76
C 9.48 9.24 13.15
C 10.07 10.43 12.38
O 8.63 8.55 12.26
H 10.36 7.52 14.36
H 11.27 9.00 14.35
H 11.17 7.99 12.93
H 8.83 9.68 13.91
H 10.47 11.29 12.92
H 9.31 10.85 11.71
H 10.80 10.11 11.65
H 7.98 9.21 12.00
O 7.33 13.22 12.54
H 7.34 14.17 12.46
H 7.79 13.03 13.35
O 10.07 14.79 5.78
H 9.17 14.99 6.03
H 10.44 14.35 6.54
O 8.12 15.88 11.99
H 7.99 16.10 12.91
H 8.80 16.49 11.69
O 12.26 17.00 9.64
H 12.29 17.87 9.24
H 13.17 16.72 9.68
O 14.14 13.62 9.82
H 14.41 14.53 9.92
H 13.52 13.63 9.09
O 6.70 14.95 9.57
H 7.05 15.27 10.40
H 5.81 15.31 9.53
O 10.12 17.53 11.28
H 10.55 17.91 12.05
H 10.84 17.29 10.70



4.
Here is C33H28Cl3MnNO7S2 as an isolated structure at a distorted geometry from the OMol25 dataset. Energies are from ωB97M-V with the def2-TZVPD basis set.

Values from the calculation:
### Here it is
1.
Here is C3H4O2 in the gas phase at a distorted geometry from the OMol25 dataset. Energies are from ωB97M-V with the def2-TZVPD basis set.

Values from the calculation:
* frontier orbital gap (alpha / beta): 8.366 / 7.521 eV
* HOMO (alpha / beta): -8.602 / -8.336 eV

Cartesian coordinates (Å):
O -2.20 1.08 -0.89
C -1.12 0.57 -0.65
C -0.40 0.69 0.58
C 1.23 -0.96 0.18
O 0.76 0.07 0.77
H -0.57 0.01 -1.45
H -0.60 1.45 1.32
H 0.62 -1.53 -0.52
H 2.24 -1.23 0.46



2.
Here is C28H25CrN6SSi as an isolated structure at a distorted geometry from the OMol25 dataset. Energies are from ωB97M-V with the def2-TZVPD basis set.

Values from the calculation:
* frontier orbital gap (alpha / beta): 4.482 / 4.511 eV
* HOMO (alpha / beta): -8.740 / -8.733 eV
* spin multiplicity: 5
* charge: +1

Cartesian coordinates (Å):
Cr 0.10 -2.85 0.54
N 1.70 1.45 0.03
C 2.86 0.53 0.41
C 2.44 -0.80 0.99
N 1.41 -1.41 0.56
C 0.46 1.22 0.83
C -0.88 1.60 0.27
N -1.04 -1.32 0.55
C -2.41 -1.14 0.75
C -3.20 -0.07 0.96
N -1.82 2.12 1.09
H 2.03 2.42 -0.08
H 3.62 1.03 0.99
H 3.12 -1.26 1.70
H -2.96 -2.09 0.79
H -4.24 -0.36 1.10
H -1.49 2.51 1.96
C 3.73 2.07 -2.68
C 2.34 2.11 -3.15
C 1.35 1.46 -2.51
C 1.65 0.65 -1.31
C 3.13 0.27 -1.10
C 4.11 1.21 -1.73
Si 0.14 -0.36 -0.33
C -1.11 0.94 -0.91
C -2.17 0.91 -1.88
C -3.40 1.45 -1.98
C -4.23 2.16 -1.01
C -4.17 2.15 0.32
C -3.13 1.45 1.17
C 0.71 1.35 2.29
C 0.04 0.51 3.19
C 0.22 0.65 4.56
C 1.07 1.63 5.06
C 1.74 2.47 4.18
C 1.56 2.33 2.81
H 4.44 2.73 -3.14
H 2.12 2.70 -4.03
H 0.33 1.53 -2.85
H 3.40 -0.77 -1.32
H 5.14 1.15 -1.41
H -1.90 0.33 -2.77
H -3.88 1.31 -2.93
H -5.05 2.71 -1.45
H -4.92 2.71 0.87
H -3.45 1.58 2.21
H -0.62 -0.25 2.80
H -0.31 0.00 5.23
H 1.19 1.75 6.12
H 2.41 3.23 4.56
H 2.08 3.01 2.14
S -1.40 -4.72 0.89
C -0.77 -4.62 -0.67
N -1.54 -4.87 -1.77
C -1.03 -4.85 -3.03
C 0.28 -4.53 -3.21
C 1.04 -4.22 -2.07
N 0.54 -4.26 -0.84
H -2.51 -5.11 -1.61
H -1.71 -5.10 -3.83
H 0.72 -4.51 -4.19
H 2.08 -3.93 -2.15



3.
Here is a 12-piece molecular cluster, C15H54O12 overall at a distorted geometry from the OMol25 dataset. Energies are from ωB97M-V with the def2-TZVPD basis set.

Values from the calculation:
* frontier orbital gap: 9.041 eV
* HOMO: -9.484 eV
* SMILES string: CC(C)O.CC(C)O.CC(C)O.CC(C)O.CC(C)O.O.O.O.O.O.O.O

Cartesian coordinates (Å):
C 13.45 13.21 5.48
C 13.02 11.73 5.78
C 13.61 11.07 6.99
O 11.67 11.82 5.90
H 14.38 13.24 4.91
H 13.55 13.80 6.39
H 12.72 13.71 4.85
H 13.23 11.20 4.85
H 13.21 11.46 7.93
H 14.69 11.06 7.10
H 13.43 10.00 7.06
H 11.45 12.25 6.73
C 6.98 12.64 7.08
C 7.07 13.85 6.15
C 5.77 14.20 5.45
O 7.48 14.97 6.94
H 7.85 12.71 7.72
H 7.14 11.72 6.53
H 6.07 12.61 7.69
H 7.81 13.62 5.39
H 5.47 13.38 4.80
H 5.95 15.05 4.79
H 4.90 14.36 6.08
H 7.07 14.93 7.80
C 10.66 8.49 6.96
C 11.14 7.48 8.05
C 11.13 8.08 9.44
O 10.27 6.40 8.01
H 10.89 8.10 5.97
H 11.20 9.44 6.99
H 9.60 8.67 7.12
H 12.10 7.05 7.77
H 11.44 7.48 10.30
H 10.10 8.34 9.70
H 11.70 9.00 9.51
H 10.24 5.97 8.87
C 10.15 12.06 8.77
C 10.13 13.57 9.17
C 10.42 13.68 10.75
O 10.98 14.36 8.39
H 9.32 11.59 9.32
H 11.13 11.61 8.96
H 9.96 11.80 7.73
H 9.18 14.06 8.97
H 10.27 14.73 11.02
H 11.42 13.30 10.96
H 9.69 13.07 11.28
H 11.12 15.21 8.81
C 10.58 8.40 13.76
C 9.48 9.24 13.15
C 10.07 10.43 12.38
O 8.63 8.55 12.26
H 10.36 7.52 14.36
H 11.27 9.00 14.35
H 11.17 7.99 12.93
H 8.83 9.68 13.91
H 10.47 11.29 12.92
H 9.31 10.85 11.71
H 10.80 10.11 11.65
H 7.98 9.21 12.00
O 7.33 13.22 12.54
H 7.34 14.17 12.46
H 7.79 13.03 13.35
O 10.07 14.79 5.78
H 9.17 14.99 6.03
H 10.44 14.35 6.54
O 8.12 15.88 11.99
H 7.99 16.10 12.91
H 8.80 16.49 11.69
O 12.26 17.00 9.64
H 12.29 17.87 9.24
H 13.17 16.72 9.68
O 14.14 13.62 9.82
H 14.41 14.53 9.92
H 13.52 13.63 9.09
O 6.70 14.95 9.57
H 7.05 15.27 10.40
H 5.81 15.31 9.53
O 10.12 17.53 11.28
H 10.55 17.91 12.05
H 10.84 17.29 10.70



4.
Here is C33H28Cl3MnNO7S2 as an isolated structure at a distorted geometry from the OMol25 dataset. Energies are from ωB97M-V with the def2-TZVPD basis set.

Values from the calculation: